Swedish partner: Östersunds kommun

Alfred Nzo Waste Buy-back center

Objectives of the project are:

== Between two parts of the piece: records of crystals ==
=====
1.
The following is a DFT calculation (GGA-PBE) of a relaxed Na10Ca3Si6Sn5S6O48 crystal.

abc: 18.326 9.197 22.882
angles: 89.53 89.64 120.02
Fractional coordinates of all 234 atoms:
Na1 0.318 0.999 0.245
Na2 0.192 0.364 0.245
Na3 0.694 0.379 0.243
Na4 0.997 0.643 0.252
Na5 0.315 0.612 0.760
Na6 0.817 0.623 0.751
Na7 0.990 0.354 0.755
Na8 0.498 0.381 0.741
Na9 0.182 0.016 0.751
Na10 0.688 0.018 0.753
Na11 0.648 0.341 0.574
Na12 0.322 0.681 0.076
Na13 0.823 0.681 0.089
Na14 0.163 0.321 0.924
Na15 0.999 0.314 0.421
Na16 0.161 0.021 0.420
Na17 0.667 0.026 0.412
Na18 0.843 0.674 0.419
Na19 0.001 0.001 0.499
Na20 0.493 0.022 0.496
Na21 0.007 0.031 0.001
Na22 0.502 0.033 0.994
Na23 0.346 0.365 0.836
Na24 0.838 0.333 0.830
Na25 0.338 0.373 0.327
Na26 0.833 0.340 0.334
Na27 0.169 0.657 0.158
Na28 0.663 0.660 0.160
Na29 0.161 0.656 0.665
Na30 0.652 0.656 0.663
Ca1 0.498 0.001 0.353
Ca2 0.336 0.342 0.683
Ca3 0.836 0.337 0.689
Ca4 0.333 0.336 0.185
Ca5 0.833 0.327 0.184
Ca6 0.163 0.652 0.013
Ca7 0.659 0.646 0.014
Ca8 0.162 0.656 0.517
Ca9 0.668 0.666 0.517
Si1 0.147 0.988 0.254
Si2 0.351 0.710 0.251
Si3 0.853 0.715 0.250
Si4 0.144 0.297 0.753
Si5 0.642 0.294 0.751
Si6 0.008 0.719 0.755
Si7 0.502 0.722 0.750
Si8 0.850 0.985 0.752
Si9 0.481 0.324 0.589
Si10 0.180 0.323 0.086
Si11 0.682 0.325 0.089
Si12 0.318 0.671 0.918
Si13 0.006 0.347 0.917
Si14 0.511 0.359 0.915
Si15 0.818 0.970 0.416
Si16 0.170 0.366 0.416
Si17 0.668 0.363 0.421
Si18 0.022 0.670 0.415
Sn1 0.002 0.997 0.352
Sn2 0.997 0.004 0.850
Sn3 0.499 0.999 0.854
Sn4 0.001 0.000 0.656
Sn5 0.502 0.011 0.649
Sn6 0.007 0.994 0.149
Sn7 0.500 0.001 0.148
Sn8 0.334 0.343 0.980
Sn9 0.828 0.321 0.983
Sn10 0.337 0.338 0.486
Sn11 0.837 0.339 0.479
Sn12 0.172 0.663 0.318
Sn13 0.678 0.676 0.320
Sn14 0.154 0.640 0.822
Sn15 0.657 0.656 0.814
S1 0.646 0.981 0.252
S2 0.004 0.294 0.252
S3 0.510 0.308 0.251
S4 0.350 0.987 0.751
S5 0.979 0.313 0.584
S6 0.176 0.036 0.586
S7 0.685 0.046 0.583
S8 0.339 0.645 0.584
S9 0.843 0.643 0.584
S10 0.481 0.642 0.084
S11 0.980 0.637 0.083
S12 0.339 0.040 0.084
S13 0.839 0.036 0.083
S14 0.819 0.664 0.916
S15 0.165 0.967 0.914
S16 0.670 0.970 0.915
S17 0.314 0.975 0.418
S18 0.517 0.652 0.415
O1 0.105 0.031 0.310
O2 0.609 0.005 0.306
O3 0.401 0.812 0.305
O4 0.908 0.813 0.307
O5 0.501 0.214 0.303
O6 0.995 0.202 0.307
O7 0.103 0.186 0.812
O8 0.595 0.163 0.805
O9 0.483 0.809 0.805
O10 0.988 0.805 0.810
O11 0.404 0.018 0.802
O12 0.913 0.034 0.807
O13 0.387 0.958 0.698
O14 0.889 0.935 0.695
O15 0.079 0.217 0.696
O16 0.587 0.221 0.690
O17 0.032 0.844 0.696
O18 0.518 0.838 0.690
O19 0.394 0.833 0.188
O20 0.896 0.824 0.188
O21 0.012 0.205 0.200
O22 0.526 0.229 0.198
O23 0.082 0.944 0.198
O24 0.593 0.966 0.199
O25 0.440 0.321 0.650
O26 0.935 0.319 0.636
O27 0.222 0.122 0.638
O28 0.730 0.128 0.636
O29 0.328 0.551 0.639
O30 0.837 0.544 0.636
O31 0.445 0.543 0.137
O32 0.946 0.548 0.139
O33 0.338 0.115 0.140
O34 0.834 0.117 0.135
O35 0.227 0.331 0.145
O36 0.730 0.342 0.149
O37 0.229 0.303 0.025
=====

  • to address and eradicate waste related issues within the Alfred Nzo District
  • to raise awareness about waste management
  • to encourage members of the communities within ANDM to clean-up their villages
  • to create job opportunities for Alfred Nzo community members through waste collection.

Expected results:

  • Alfred Nzo District is expected to be clean once the proposed project is operational.
  • A number of job opportunities will be created through the buyback center.
  • Alfred Nzo Communities will be well informed and knowledgeable about proper waste management practices.
  • Landfill site lifespan will increase and less money will be spent on authorization of new landfill sites.
Project Area
Environment/Climate change
Swedish partner
Östersunds kommun
International partner
Alfred Nzo District MunicipalityAlfred Nzo Municipality

Methods and Leadership

The cooperation around methods and leadership has been going on between the two municipalities since May 2008 and has developed to be the solid ground in the cooperation.

The projects goals is to make the municipal work distinct and develop the work regarding 3 focus areas: organization, steering and target fulfillment.

The overall results, through successful target fulfillment, is defined to be a more efficient economy of resources, increased participation, particularly within the municipal organization but also with the citizens. The measurable results is set to be skilled trained officials and politicians within the three areas, through joined workshops/skills training activities, more distinct strategies and actionsplans, measure documents for how the three areas should reach target fulfillment. The project is planned from a 5 year perspective, but with applications made on a one-year basis.

Project Area
Inclusive leadership and governance
Swedish partner
Östersunds kommun
International partner
Alfred Nzo Municipality

Leadership, methods and jobshadowing, part 2

Östersund Municipality and Alfred Nzo have since 2006 worked with leadership – and organizational issues.

In this project we are working with the methods that have already been implemented, following up the work that has been done and see how we can move forward to meet the objectives set up in the application. During the past year, two jobshadowing activities have taken place within LED (local economic development) and Finance, one in Östersund and one in Alfred Nzo. In addition, a workshop has taken place in Alfred Nzo.

### Materials data, kept here for reference
/*
(1)
VASP calculation (GGA+U) on a relaxed MoP3Pb2O11 crystal.

Calculated formation energy (eV/atom): -2.438

abc: 7.205 6.651 20.413
angles: 80.33 90.00 90.00
Positions (direct):
O: 0.006 0.682 0.035
O: 0.994 0.318 0.965
O: 0.817 0.722 0.137
O: 0.494 0.682 0.535
O: 0.739 0.108 0.026
O: 0.828 0.324 0.412
O: 0.867 0.004 0.921
O: 0.140 0.315 0.703
O: 0.761 0.108 0.526
O: 0.187 0.470 0.452
O: 0.516 0.006 0.720
O: 0.898 0.090 0.665
O: 0.133 0.996 0.079
O: 0.445 0.629 0.375
O: 0.172 0.676 0.588
O: 0.555 0.371 0.625
O: 0.360 0.315 0.203
O: 0.398 0.910 0.835
O: 0.683 0.722 0.637
O: 0.328 0.676 0.088
O: 0.633 0.004 0.421
O: 0.239 0.892 0.474
O: 0.317 0.278 0.363
O: 0.179 0.680 0.248
O: 0.860 0.685 0.297
O: 0.640 0.685 0.797
O: 0.679 0.320 0.252
O: 0.321 0.680 0.748
O: 0.813 0.530 0.548
O: 0.945 0.371 0.125
O: 0.055 0.629 0.875
O: 0.602 0.090 0.165
O: 0.261 0.892 0.974
O: 0.672 0.324 0.912
O: 0.102 0.910 0.335
O: 0.687 0.530 0.048
O: 0.506 0.318 0.465
O: 0.821 0.320 0.752
O: 0.984 0.006 0.220
O: 0.016 0.994 0.780
O: 0.484 0.994 0.280
O: 0.313 0.470 0.952
O: 0.367 0.996 0.579
O: 0.183 0.278 0.863
Pb: 0.618 0.673 0.924
Pb: 0.018 0.331 0.271
Pb: 0.518 0.669 0.229
Pb: 0.482 0.331 0.771
Pb: 0.118 0.327 0.576
Pb: 0.882 0.673 0.424
Pb: 0.382 0.327 0.076
Pb: 0.982 0.669 0.729
P: 0.645 0.570 0.589
P: 0.467 0.817 0.773
P: 0.692 0.184 0.455
P: 0.145 0.430 0.911
P: 0.855 0.570 0.089
P: 0.355 0.430 0.411
P: 0.808 0.184 0.955
P: 0.308 0.816 0.545
P: 0.533 0.183 0.227
P: 0.967 0.183 0.727
P: 0.192 0.816 0.045
P: 0.033 0.817 0.273
Mo: 0.630 0.050 0.622
Mo: 0.130 0.950 0.878
Mo: 0.870 0.050 0.122
Mo: 0.370 0.950 0.378

=====

(2)
VASP calculation (GGA+U) on a relaxed Ba3In2WO9 crystal.

Calculated formation energy (eV/atom): -2.602
Energy above the lowest structure with this stoichiometry (meV per atom): 8

abc: 5.974 5.974 7.332
angles: 90.00 90.00 120.00
Positions (direct):
O: 0.156 0.312 0.847
O: 0.844 0.688 0.153
O: 0.500 0.500 0.500
O: 0.500 0.000 0.500
O: 0.156 0.844 0.847
O: 0.688 0.844 0.847
O: 0.000 0.500 0.500
O: 0.844 0.156 0.153
O: 0.312 0.156 0.153
Ba: 0.333 0.667 0.189
Ba: 0.667 0.333 0.811
Ba: 0.000 0.000 0.500
W: 0.000 0.000 0.000
In: 0.667 0.333 0.333
In: 0.333 0.667 0.667

=====

(3)
VASP calculation (GGA+U) on a relaxed Li3VCr4O8 crystal.

Calculated formation energy (eV/atom): -2.242

abc: 6.024 6.024 5.978
angles: 61.75 61.75 59.15
Positions (direct):
O: 0.237 0.731 0.269
O: 0.763 0.269 0.731
O: 0.735 0.735 0.280
O: 0.265 0.265 0.720
O: 0.269 0.763 0.731
O: 0.745 0.745 0.734
O: 0.731 0.237 0.269
O: 0.255 0.255 0.266
Cr: 0.000 0.000 0.000
Cr: 0.500 0.500 0.500
Cr: 0.000 0.500 0.500
Cr: 0.500 0.000 0.500
Li: 0.000 0.000 0.500
Li: 0.500 0.000 0.000
Li: 0.000 0.500 0.000
V: 0.500 0.500 0.000

=====

(4)
VASP calculation (GGA+U) on a relaxed Y4MgW4O20 crystal.

Calculated formation energy (eV/atom): -2.758

abc: 5.345 6.533 12.772
angles: 91.37 90.32 109.69
Positions (direct):
O: 0.403 0.329 0.907
O: 0.372 0.598 0.366
O: 0.514 0.078 0.417
*/

The result so far in this project indicates that the trust between politicians and officials as well as politicians and citizens has been improved and the implementation of strategic documents/methods continues. Knowledge has been passed at jobshadowing activities in LED and Finance with has lead to development of both parties. The biggest challenge now before us is to introduce the two new local municipalities to the partnership and make them receptive to the methods elaborated/implemented so far in the project.

[What comes next are data records, not part of the article]
┌──
Record 1
Density functional theory data (PBE with a Hubbard U) for a relaxed structure of Mg2TaWO6.

The structure in POSCAR format:
```
Mg2TaWO6
1.0
2.650 1.530 4.775
-2.650 1.530 4.775
0.000 -3.059 4.775
Mg Ta W O
2 1 1 6
direct
0.000 0.000 0.000 Mg
0.496 0.496 0.496 Mg
0.205 0.205 0.205 Ta
0.704 0.704 0.704 W
0.110 0.820 0.406 O
0.301 0.583 0.937 O
0.406 0.110 0.820 O
0.583 0.937 0.301 O
0.820 0.406 0.110 O
0.937 0.301 0.583 O
```

Output
The uncorrected energy comes out at -7.713 eV/atom. Its formation energy is -2.7987 eV/atom. The corrected total energy (MP2020 scheme) is -8.57 eV per atom. The value obtained for the polymorph energy (0 for the lowest one) is 0 meV per atom.

***

Record 2
Density functional theory data (PBE with a Hubbard U) for a relaxed structure of Li17Cr2O12.

The structure in POSCAR format:
```
Li17Cr2O12
1.0
5.477 0.000 0.000
-0.031 5.932 0.000
-0.004 -0.935 8.025
Li Cr O
17 2 12
direct
0.000 0.000 0.000 Li
0.005 0.996 0.495 Li
0.013 0.352 0.821 Li
0.151 0.942 0.760 Li
0.194 0.286 0.102 Li
0.202 0.617 0.451 Li
0.315 0.238 0.363 Li
0.334 0.593 0.729 Li
0.380 0.897 0.034 Li
0.493 0.854 0.316 Li
0.520 0.510 0.010 Li
0.652 0.456 0.287 Li
0.660 0.138 0.948 Li
0.676 0.764 0.587 Li
0.803 0.723 0.857 Li
0.829 0.101 0.238 Li
0.870 0.409 0.536 Li
0.008 0.675 0.162 Cr
0.503 0.180 0.654 Cr
0.144 0.695 0.919 O
0.164 0.997 0.220 O
0.204 0.336 0.584 O
0.327 0.529 0.234 O
0.336 0.174 0.888 O
0.354 0.877 0.580 O
0.649 0.182 0.434 O
0.657 0.473 0.731 O
0.707 0.847 0.080 O
0.807 0.017 0.740 O
0.849 0.356 0.086 O
0.867 0.678 0.398 O
```

Output
The uncorrected energy comes out at -5.266 eV/atom. Its formation energy is -2.0761 eV/atom. The corrected total energy (MP2020 scheme) is -5.66 eV per atom.

***

Record 3
Density functional theory data (PBE with a Hubbard U) for a relaxed structure of BaV2CuAg2O8.

The structure in POSCAR format:
```
BaV2CuAg2O8
1.0
5.479 0.000 0.000
-2.663 5.047 0.000
-0.123 -1.494 14.449
Ba V Cu Ag O
2 4 2 4 16
direct
0.033 0.044 0.251 Ba
0.967 0.956 0.749 Ba
0.341 0.682 0.873 V
0.357 0.716 0.375 V
0.643 0.284 0.625 V
0.659 0.318 0.127 V
0.000 0.000 0.000 Cu
0.000 0.000 0.500 Cu
0.311 0.624 0.588 Ag
0.330 0.668 0.090 Ag
0.670 0.332 0.910 Ag
0.689 0.376 0.412 Ag
0.078 0.762 0.913 O
0.148 0.417 0.419 O
0.260 0.360 0.896 O
0.266 0.966 0.415 O
0.285 0.181 0.601 O
0.299 0.663 0.257 O
0.323 0.079 0.081 O
0.355 0.705 0.756 O
0.645 0.295 0.244 O
0.677 0.921 0.919 O
0.701 0.337 0.743 O
0.715 0.819 0.399 O
0.734 0.034 0.585 O
0.740 0.640 0.104 O
0.852 0.583 0.581 O
0.922 0.238 0.087 O
```

Output
The uncorrected energy comes out at -6.236 eV/atom. Its formation energy is -1.9122 eV/atom. The corrected total energy (MP2020 scheme) is -6.87 eV per atom.

***

Record 4
Density functional theory data (PBE with a Hubbard U) for a relaxed structure of FeOF.

The structure in POSCAR format:
```
FeOF
1.0
4.785 0.000 0.000
0.000 3.061 0.000
-0.309 0.000 14.147
Fe O F
6 6 6
direct
0.000 0.000 0.000 Fe
0.005 0.000 0.666 Fe
└──

Project Area
Inclusive leadership and governance
Swedish partner
Östersunds kommun
International partner
Alfred Nzo District Municipality